== Brief ==
What is needed: echo the lines underneath from the one with "2.64 -0.35" to the one with "-4.90 1.25" with every line break kept.

== Contents ==
+++
(1)
The following is a DFT calculation (ωB97M-V/def2-TZVPD) of a structure of composition C32H51N6O3S4SbSeSiTa in a non-equilibrium geometry.

XYZ file:
```
100
C32H51N6O3S4SbSeSiTa, DFT ωB97M-V/def2-TZVPD
Ta -0.52 -0.27 0.47
O -5.08 1.03 -5.17
C -5.42 0.04 -4.24
C -4.44 0.06 -3.10
C -4.59 -0.75 -1.98
C -3.63 -0.70 -1.00
N -2.57 0.11 -1.04
C -2.46 0.96 -2.07
C -3.35 0.93 -3.14
C -1.42 2.01 -1.96
C -1.33 3.05 -2.87
C -0.41 4.07 -2.67
C -0.30 5.20 -3.66
O -1.01 4.98 -4.85
C 0.38 4.01 -1.52
C 0.22 2.95 -0.66
N -0.65 1.96 -0.87
H -5.76 1.07 -5.86
H -5.40 -0.96 -4.69
H -6.43 0.19 -3.84
H -5.43 -1.42 -1.88
H -3.71 -1.31 -0.11
H -3.24 1.57 -3.99
H -1.98 3.12 -3.73
H 0.76 5.42 -3.85
H -0.75 6.09 -3.21
H -0.54 4.35 -5.41
H 1.11 4.78 -1.31
H 0.79 2.88 0.25
C 2.93 2.35 2.81
C 2.61 1.31 1.79
O 1.46 1.16 1.36
N 3.61 0.52 1.38
C 3.31 -0.65 0.57
C 2.68 -1.71 1.44
C 3.48 -2.73 1.93
C 2.95 -3.67 2.80
C 1.63 -3.52 3.20
C 0.91 -2.45 2.70
N 1.39 -1.58 1.81
H 2.19 3.14 2.78
H 3.93 2.76 2.67
H 2.89 1.89 3.80
H 4.52 0.60 1.81
H 4.23 -1.03 0.12
H 2.64 -0.35 -0.23
H 4.52 -2.79 1.63
H 3.55 -4.49 3.16
H 1.17 -4.21 3.89
H -0.11 -2.28 3.02
S 1.49 -3.93 -0.66
Sb -0.40 -2.86 -1.44
S -1.51 -2.36 0.71
S 0.66 -0.61 -1.59
C 2.38 -2.52 -5.38
C 3.82 -2.55 -5.90
C 4.64 -1.29 -5.61
C 4.94 -1.03 -4.13
N 3.77 -0.44 -3.47
C 3.57 0.80 -3.01
S 1.97 1.43 -3.01
N 4.52 1.57 -2.48
C 5.96 1.40 -2.31
C 6.76 2.26 -3.29
C 8.27 2.15 -3.07
C 8.85 0.82 -3.54
H 1.78 -3.25 -5.92
H 1.92 -1.54 -5.53
H 2.32 -2.79 -4.32
H 3.79 -2.68 -6.98
H 4.34 -3.43 -5.49
H 4.13 -0.42 -6.03
H 5.60 -1.39 -6.13
H 5.78 -0.34 -4.07
H 5.20 -1.96 -3.63
H 2.91 -0.91 -3.72
H 4.18 2.50 -2.26
H 6.22 0.34 -2.40
H 6.20 1.71 -1.29
H 6.45 3.30 -3.15
H 6.51 1.97 -4.31
H 8.49 2.30 -2.01
H 8.75 2.96 -3.63
H 8.44 -0.02 -2.97
H 9.93 0.82 -3.39
H 8.65 0.66 -4.60
C -3.70 3.89 1.74
Si -3.05 2.90 3.20
C -4.29 1.78 4.06
C -1.78 3.76 4.27
Se -1.55 1.19 1.99
H -4.36 4.68 2.10
H -4.27 3.26 1.07
H -2.89 4.35 1.19
H -4.96 2.36 4.70
H -3.78 1.05 4.68
H -4.90 1.25 3.33
H -2.27 4.45 4.96
H -1.08 4.33 3.66
H -1.22 3.03 4.86
```

Computed properties:
* net charge: +2
* 2S+1: 2
* HOMO level (alpha / beta): -12.017 / -11.950 eV
* max |F|: 1.8 eV/A
* orbital gap (alpha / beta): 6.40 / 4.70 eV

(2)
The following is a DFT calculation (ωB97M-V/def2-TZVPD) of an isolated molecule of C3H5FN2 in a non-equilibrium geometry.

XYZ file:
```
11
C3H5FN2, DFT ωB97M-V/def2-TZVPD
C -1.66 -1.38 0.59
C -0.85 -0.86 -0.30
F -0.72 -1.30 -1.54
C 0.07 0.26 0.04
N 0.91 0.70 -0.83
N 1.70 1.77 -0.48
H -1.74 -1.01 1.56
H -2.30 -2.18 0.33
H 0.04 0.58 1.09
H 1.95 1.76 0.52
H 2.60 1.67 -0.97
```

Computed properties:
* SMILES: C=C(F)/C=N/N
* HOMO level: -8.928 eV
* max |F|: 2.3 eV/A
* orbital gap: 9.82 eV

(3)
The following is a DFT calculation (ωB97M-V/def2-TZVPD) of a structure of composition C22H22BrN4O2W in a non-equilibrium geometry.

XYZ file:
```
52
C22H22BrN4O2W, DFT ωB97M-V/def2-TZVPD
W 0.01 0.08 -0.01
O 1.09 -0.51 1.31
C 1.52 -0.19 2.54
C 2.29 -1.06 3.30
C 2.69 -0.71 4.58
C 2.31 0.52 5.11
C 1.55 1.40 4.38
C 1.13 1.08 3.06
C 0.34 1.98 2.32
N -0.11 1.79 1.05
C -1.03 2.83 0.59
C -1.34 2.55 -0.89
N -1.35 1.10 -1.07
C -2.34 0.60 -1.85
C -2.50 -0.78 -2.14
C -3.59 -1.24 -2.92
C -3.79 -2.58 -3.15
C -2.92 -3.53 -2.62
C -1.81 -3.12 -1.88
C -1.58 -1.77 -1.65
O -0.52 -1.35 -0.96
H 2.58 -2.01 2.87
H 3.28 -1.39 5.17
H 2.62 0.79 6.11
H 1.26 2.35 4.79
H 0.06 2.91 2.82
H -0.59 3.83 0.71
H -1.96 2.79 1.17
H -0.55 2.98 -1.53
H -2.29 3.02 -1.17
H -3.06 1.28 -2.28
H -4.27 -0.51 -3.34
H -4.63 -2.90 -3.74
H -3.09 -4.58 -2.78
H -1.11 -3.83 -1.48
N -1.36 -1.80 1.58
N -2.02 -0.53 1.38
H -2.02 -2.53 1.87
H -0.66 -1.70 2.32
H -2.45 -0.18 2.25
H -2.79 -0.69 0.72
Br 5.32 0.49 -4.29
C 3.84 0.52 -3.09
C 2.57 0.27 -3.58
C 1.50 0.25 -2.69
C 1.65 0.48 -1.31
C 2.96 0.76 -0.88
C 4.04 0.78 -1.75
H 2.42 0.07 -4.63
H 0.51 0.05 -3.10
H 3.15 0.96 0.17
H 5.04 0.98 -1.38
```

Computed properties:
* net charge: +1
* HOMO level (alpha / beta): -9.442 / -9.439 eV
* max |F|: 3.4 eV/A
+++

== Result ==
H 2.64 -0.35 -0.23
H 4.52 -2.79 1.63
H 3.55 -4.49 3.16
H 1.17 -4.21 3.89
H -0.11 -2.28 3.02
S 1.49 -3.93 -0.66
Sb -0.40 -2.86 -1.44
S -1.51 -2.36 0.71
S 0.66 -0.61 -1.59
C 2.38 -2.52 -5.38
C 3.82 -2.55 -5.90
C 4.64 -1.29 -5.61
C 4.94 -1.03 -4.13
N 3.77 -0.44 -3.47
C 3.57 0.80 -3.01
S 1.97 1.43 -3.01
N 4.52 1.57 -2.48
C 5.96 1.40 -2.31
C 6.76 2.26 -3.29
C 8.27 2.15 -3.07
C 8.85 0.82 -3.54
H 1.78 -3.25 -5.92
H 1.92 -1.54 -5.53
H 2.32 -2.79 -4.32
H 3.79 -2.68 -6.98
H 4.34 -3.43 -5.49
H 4.13 -0.42 -6.03
H 5.60 -1.39 -6.13
H 5.78 -0.34 -4.07
H 5.20 -1.96 -3.63
H 2.91 -0.91 -3.72
H 4.18 2.50 -2.26
H 6.22 0.34 -2.40
H 6.20 1.71 -1.29
H 6.45 3.30 -3.15
H 6.51 1.97 -4.31
H 8.49 2.30 -2.01
H 8.75 2.96 -3.63
H 8.44 -0.02 -2.97
H 9.93 0.82 -3.39
H 8.65 0.66 -4.60
C -3.70 3.89 1.74
Si -3.05 2.90 3.20
C -4.29 1.78 4.06
C -1.78 3.76 4.27
Se -1.55 1.19 1.99
H -4.36 4.68 2.10
H -4.27 3.26 1.07
H -2.89 4.35 1.19
H -4.96 2.36 4.70
H -3.78 1.05 4.68
H -4.90 1.25 3.33